Work out how many lines further below have the word "gap" in them; a number is enough.

<<<
Molecular formula: C2H10NSi
Method: DFT, ωB97M-V with the def2-TZVPD basis set

Positions of all 14 atoms, in Å:
C1 -1.960 -0.077 -0.062
N1 -0.626 0.495 0.390
C2 0.461 -0.364 -0.191
Si1 2.328 0.136 -0.002
H1 -2.874 0.420 0.339
H2 -2.198 -0.064 -1.253
H3 -2.205 -1.094 0.243
H4 -0.343 1.388 -0.026
H5 -0.506 0.431 1.417
H6 0.198 -0.325 -1.215
H7 0.243 -1.425 0.103
H8 2.528 0.618 1.357
H9 2.325 1.164 -1.064
H10 2.630 -1.303 -0.037

total charge: +1
E_LUMO: -0.136 hartree
SMILES: C[NH2+]C[SiH3]
energy relative to the best compared isomer or geometry (same formula, charge and spin): 306.6 kJ/mol
multiplicity: 1
HOMO-LUMO gap: 12.00 eV
E_HOMO: -15.69 eV

=====

Molecular formula: C2H10O2S
Method: DFT, ωB97M-V with the def2-TZVPD basis set

Positions of all 15 atoms, in Å:
C1 1.038 -1.472 -1.410
S1 1.962 -0.303 -0.451
C2 1.559 -0.804 1.232
H1 0.011 -1.057 -1.426
H2 1.405 -1.509 -2.433
H3 1.015 -2.458 -0.970
H4 2.493 -1.193 1.626
H5 0.779 -1.551 1.196
H6 1.224 0.051 1.824
H7 -1.256 1.580 2.028
H8 -2.373 2.628 1.946
O1 -1.829 2.040 1.412
H9 -2.809 0.176 -0.824
H10 -3.855 0.661 0.155
O2 -3.763 0.282 -0.730

total charge: +1
E_LUMO (spin up / spin down): -0.134 / -0.319 hartree
energy relative to the best compared isomer or geometry (same formula, charge and spin): 0.0 kJ/mol
multiplicity: 2
HOMO-LUMO gap (spin up / spin down): 10.19 / 5.17 eV
E_HOMO (spin up / spin down): -13.84 / -13.84 eV

=====

Molecular formula: C2H10O3Rb
Method: DFT, ωB97M-V with the def2-TZVPD basis set

Positions of all 16 atoms, in Å:
Rb1 -1.007 -5.013 -2.506
O1 0.771 -6.986 -1.353
H1 0.184 -7.440 -0.749
H2 1.515 -7.580 -1.457
O2 -2.813 -6.992 -1.027
H3 -3.017 -7.768 -0.505
H4 -2.712 -7.323 -1.919
C1 2.128 -3.144 -1.717
C2 1.594 -3.058 -0.306
O3 0.198 -3.478 -0.313
H5 2.411 -4.115 -2.124
H6 3.030 -2.532 -1.694
H7 1.559 -2.621 -2.485
H8 1.720 -2.023 0.012
H9 2.227 -3.650 0.355
H10 -0.038 -3.422 0.616

total charge: +1
E_LUMO: -0.126 hartree
energy relative to the best compared isomer or geometry (same formula, charge and spin): 28.7 kJ/mol
multiplicity: 1
HOMO-LUMO gap: 10.61 eV
E_HOMO: -14.04 eV

=====

Molecular formula: C2H10O4
Method: DFT, ωB97M-V with the def2-TZVPD basis set

Positions of all 16 atoms, in Å:
C1 -1.660 1.653 2.069
C2 -0.521 1.135 1.573
O1 -0.419 0.602 0.326
H1 -1.676 1.970 3.103
H2 -2.406 1.990 1.357
H3 0.180 0.789 2.342
H4 -0.800 -0.308 0.335
H5 -2.184 -2.537 -0.443
H6 -0.652 -2.485 -0.440
O2 -1.437 -1.967 -0.169
H7 0.980 1.216 -0.845
H8 1.437 1.855 -2.208
O3 1.616 1.162 -1.560
H9 1.381 -2.222 -1.832
H10 2.054 -0.893 -1.159
O4 2.106 -1.838 -1.320

total charge: -1
E_LUMO (spin up / spin down): 0.129 / 0.123 hartree
energy relative to the best compared isomer or geometry (same formula, charge and spin): 82.1 kJ/mol
multiplicity: 2
HOMO-LUMO gap (spin up / spin down): 2.87 / 10.10 eV
E_HOMO (spin up / spin down): 0.63 / -6.74 eV

=====

Molecular formula: C2H10O4
Method: DFT, ωB97M-V with the def2-TZVPD basis set

Positions of all 16 atoms, in Å:
C1 -1.992 0.036 2.879
C2 -2.226 0.297 1.594
O1 -1.296 0.085 0.597
H1 -2.325 0.757 3.604
H2 -1.243 -0.684 3.192
H3 -3.182 0.590 1.151
H4 -0.550 -0.309 1.090
O2 2.063 1.386 -4.020
H5 2.562 0.726 -4.520
H6 1.482 0.854 -3.468
O3 0.791 -1.638 1.014
H7 0.959 -2.586 1.037
H8 1.002 -1.367 0.115
O4 1.466 0.046 -1.020
H9 1.935 0.867 -1.218
H10 0.718 0.354 -0.494

total charge: 0
E_LUMO: 0.022 hartree
SMILES: C=CO.O.O.O
energy relative to the best compared isomer or geometry (same formula, charge and spin): 140.7 kJ/mol
multiplicity: 1
HOMO-LUMO gap: 9.24 eV
E_HOMO: -8.64 eV

=====

Molecular formula: C2H10O4
Method: DFT, ωB97M-V with the def2-TZVPD basis set
>>>

5